**Input:**
........
A geometry-optimized NaYSeO4 structure, computed with PBE-GGA.

```
data_NaYSeO4
_symmetry_space_group_name_H-M 'I m m a'
_symmetry_Int_Tables_number 74
_symmetry_space_group_name_Hall '-I 2b 2'
_cell_length_a 6.715
_cell_length_b 7.092
_cell_length_c 8.720
_cell_angle_alpha 90.00
_cell_angle_beta 90.00
_cell_angle_gamma 90.00
loop_
_atom_site_label
_atom_site_type_symbol
_atom_site_fract_x
_atom_site_fract_y
_atom_site_fract_z
_atom_site_occupancy
Na1 Na 0.000 0.000 0.000 1
Y1 Y 0.250 0.250 0.250 1
Se1 Se 0.000 0.250 0.648 1
O1 O 0.000 0.042 0.252 1
O2 O 0.205 0.250 0.527 1
```

Calculated values
Formation energy without anion corrections (eV per atom): -1.84
Fermi-level density of states (states/eV/cell): 0.0



A geometry-optimized NaYSe4O12 structure, computed with PBE-GGA.

```
data_NaYSe4O12
_symmetry_space_group_name_H-M 'P 4/m m m'
_symmetry_Int_Tables_number 123
_symmetry_space_group_name_Hall '-P 4 2'
_cell_length_a 5.395
_cell_length_b 5.395
_cell_length_c 7.612
_cell_angle_alpha 90.00
_cell_angle_beta 90.00
_cell_angle_gamma 90.00
loop_
_atom_site_label
_atom_site_type_symbol
_atom_site_fract_x
_atom_site_fract_y
_atom_site_fract_z
_atom_site_occupancy
Na1 Na 0.000 0.000 0.000 1
Y1 Y 0.500 0.500 0.500 1
Se1 Se 0.000 0.500 0.246 1
O1 O 0.000 0.500 0.000 1
O2 O 0.000 0.500 0.500 1
O3 O 0.260 0.260 0.271 1
```

Calculated values
Formation energy without anion corrections (eV per atom): -0.76
Fermi-level density of states (states/eV/cell): 4.6



Fermi-level density of states of number 1 (NaYSeO4)?
0.0 states/eV/cell



Look up the Fermi-level density of states of the second one.
4.6 states/eV/cell
........

**Activity:**
Next, transcribe the contents further above from the line with "geometry-optimized NaYSeO4" to the end word for word.

**Result:**
A geometry-optimized NaYSeO4 structure, computed with PBE-GGA.

```
data_NaYSeO4
_symmetry_space_group_name_H-M 'I m m a'
_symmetry_Int_Tables_number 74
_symmetry_space_group_name_Hall '-I 2b 2'
_cell_length_a 6.715
_cell_length_b 7.092
_cell_length_c 8.720
_cell_angle_alpha 90.00
_cell_angle_beta 90.00
_cell_angle_gamma 90.00
loop_
_atom_site_label
_atom_site_type_symbol
_atom_site_fract_x
_atom_site_fract_y
_atom_site_fract_z
_atom_site_occupancy
Na1 Na 0.000 0.000 0.000 1
Y1 Y 0.250 0.250 0.250 1
Se1 Se 0.000 0.250 0.648 1
O1 O 0.000 0.042 0.252 1
O2 O 0.205 0.250 0.527 1
```

Calculated values
Formation energy without anion corrections (eV per atom): -1.84
Fermi-level density of states (states/eV/cell): 0.0



A geometry-optimized NaYSe4O12 structure, computed with PBE-GGA.

```
data_NaYSe4O12
_symmetry_space_group_name_H-M 'P 4/m m m'
_symmetry_Int_Tables_number 123
_symmetry_space_group_name_Hall '-P 4 2'
_cell_length_a 5.395
_cell_length_b 5.395
_cell_length_c 7.612
_cell_angle_alpha 90.00
_cell_angle_beta 90.00
_cell_angle_gamma 90.00
loop_
_atom_site_label
_atom_site_type_symbol
_atom_site_fract_x
_atom_site_fract_y
_atom_site_fract_z
_atom_site_occupancy
Na1 Na 0.000 0.000 0.000 1
Y1 Y 0.500 0.500 0.500 1
Se1 Se 0.000 0.500 0.246 1
O1 O 0.000 0.500 0.000 1
O2 O 0.000 0.500 0.500 1
O3 O 0.260 0.260 0.271 1
```

Calculated values
Formation energy without anion corrections (eV per atom): -0.76
Fermi-level density of states (states/eV/cell): 4.6



Fermi-level density of states of number 1 (NaYSeO4)?
0.0 states/eV/cell



Look up the Fermi-level density of states of the second one.
4.6 states/eV/cell